**Wanted**
Now say how many lines of the calculation results underneath hold the word "two-theta", as a bare number.

**Input**
+++
# 1
RbMg14Ti: calculated powder XRD pattern (CuKα), based on a PBE-relaxed structure.

Main lines, by angle (10 to 90 degrees two-theta):
d = 2.854 Å, 2θ = 31.3°, I = 25.7
d = 2.816 Å, 2θ = 31.8°, I = 12.8
d = 2.615 Å, 2θ = 34.3°, I = 36.8
d = 2.505 Å, 2θ = 35.8°, I = 100.0
d = 2.480 Å, 2θ = 36.2°, I = 47.5
d = 1.928 Å, 2θ = 47.1°, I = 15.6
d = 1.633 Å, 2θ = 56.3°, I = 16.8
d = 1.488 Å, 2θ = 62.4°, I = 17.6
d = 1.385 Å, 2θ = 67.6°, I = 17.9
d = 1.377 Å, 2θ = 68.1°, I = 13.4

Structural model:
Cell lengths 10.4594, 6.5335, 6.5335 Å; angles 60.89, 90.00, 90.00 degrees
Element x y z (fractional)
1 Rb 0.0000 0.0000 0.0000
2 Mg 0.0000 0.4984 0.9995
3 Mg 0.0000 0.9995 0.4984
4 Mg 0.2428 0.6594 0.6594
5 Mg 0.2577 0.1757 0.6483
6 Mg 0.2577 0.6483 0.1757
7 Mg 0.2648 0.1706 0.1706
8 Mg 0.5000 0.4968 0.4968
9 Mg 0.5000 0.4992 0.9934
10 Mg 0.5000 0.9934 0.4992
11 Mg 0.5000 0.9956 0.9956
12 Mg 0.7352 0.1706 0.1706
13 Mg 0.7423 0.1757 0.6483
14 Mg 0.7423 0.6483 0.1757
15 Mg 0.7572 0.6594 0.6594
16 Ti 0.0000 0.4853 0.4853


# 2
BaThF6: calculated powder XRD pattern (CuKα), based on a PBE-relaxed structure.

Main lines, by angle (10 to 90 degrees two-theta):
d = 7.895 Å, 2θ = 11.2°, I = 16.1
d = 3.947 Å, 2θ = 22.5°, I = 36.9
d = 3.712 Å, 2θ = 24.0°, I = 29.8
d = 3.359 Å, 2θ = 26.5°, I = 100.0
d = 2.145 Å, 2θ = 42.1°, I = 86.6
d = 1.883 Å, 2θ = 48.3°, I = 29.8
d = 1.807 Å, 2θ = 50.5°, I = 18.1
d = 1.452 Å, 2θ = 64.1°, I = 24.7
d = 1.381 Å, 2θ = 67.9°, I = 15.5
d = 1.238 Å, 2θ = 77.0°, I = 21.5

Structural model:
Cell lengths 4.2859, 4.2859, 7.8947 Å; angles 90.00, 90.00, 120.00 degrees
Element x y z (fractional)
1 Ba 0.0000 0.0000 0.0000
2 Th 0.6667 0.3333 0.5000
3 F 0.0000 0.0000 0.3531
4 F 0.0000 0.0000 0.6469
5 F 0.3333 0.6667 0.0000
6 F 0.3333 0.6667 0.5000
7 F 0.6667 0.3333 0.2204
8 F 0.6667 0.3333 0.7796


# 3
CeZnCo2: calculated powder XRD pattern (CuKα), based on a PBE-relaxed structure.

Main lines, by angle (10 to 90 degrees two-theta):
d = 2.588 Å, 2θ = 34.7°, I = 100.0
d = 2.218 Å, 2θ = 40.7°, I = 29.8
d = 2.166 Å, 2θ = 41.7°, I = 77.9
d = 2.063 Å, 2θ = 43.9°, I = 23.7
d = 2.021 Å, 2θ = 44.8°, I = 10.3
d = 1.494 Å, 2θ = 62.1°, I = 31.0
d = 1.398 Å, 2θ = 67.0°, I = 18.1
d = 1.352 Å, 2θ = 69.5°, I = 11.2
d = 1.293 Å, 2θ = 73.2°, I = 21.9
d = 1.157 Å, 2θ = 83.6°, I = 11.6

Structural model:
Cell lengths 5.1734, 5.1734, 15.8556 Å; angles 90.00, 90.00, 120.00 degrees
Element x y z (fractional)
1 Ce 0.3333 0.6667 0.0456
2 Ce 0.3333 0.6667 0.2500
3 Ce 0.3333 0.6667 0.4544
4 Ce 0.6667 0.3333 0.5456
5 Ce 0.6667 0.3333 0.7500
6 Ce 0.6667 0.3333 0.9544
7 Zn 0.0000 0.0000 0.0000
8 Zn 0.0000 0.0000 0.2500
9 Zn 0.0000 0.0000 0.5000
10 Zn 0.0000 0.0000 0.7500
11 Zn 0.3333 0.6667 0.7500
12 Zn 0.6667 0.3333 0.2500
13 Co 0.1683 0.3365 0.6245
14 Co 0.1683 0.3365 0.8755
15 Co 0.1683 0.8317 0.6245
16 Co 0.1683 0.8317 0.8755
17 Co 0.3365 0.1683 0.1245
18 Co 0.3365 0.1683 0.3755
19 Co 0.6635 0.8317 0.6245
20 Co 0.6635 0.8317 0.8755
21 Co 0.8317 0.1683 0.1245
22 Co 0.8317 0.1683 0.3755
23 Co 0.8317 0.6635 0.1245
24 Co 0.8317 0.6635 0.3755


# 4
MgAlRh2: calculated powder XRD pattern (CuKα), based on a PBE-relaxed structure.

Main lines, by angle (10 to 90 degrees two-theta):
d = 3.054 Å, 2θ = 29.2°, I = 48.3
d = 2.159 Å, 2θ = 41.8°, I = 100.0
d = 1.763 Å, 2θ = 51.9°, I = 12.8
d = 1.527 Å, 2θ = 60.7°, I = 16.3
d = 1.366 Å, 2θ = 68.7°, I = 16.2
d = 1.247 Å, 2θ = 76.4°, I = 32.5

Structural model:
Cell lengths 6.1074, 6.1074, 6.1074 Å; angles 90.00, 90.00, 90.00 degrees
Element x y z (fractional)
1 Mg 0.0000 0.0000 0.0000
2 Mg 0.0000 0.5000 0.5000
3 Mg 0.5000 0.0000 0.5000
4 Mg 0.5000 0.5000 0.0000
5 Al 0.0000 0.0000 0.5000
6 Al 0.0000 0.5000 0.0000
7 Al 0.5000 0.0000 0.0000
8 Al 0.5000 0.5000 0.5000
9 Rh 0.2500 0.2500 0.2500
10 Rh 0.2500 0.2500 0.7500
11 Rh 0.2500 0.7500 0.2500
12 Rh 0.2500 0.7500 0.7500
13 Rh 0.7500 0.2500 0.2500
14 Rh 0.7500 0.2500 0.7500
15 Rh 0.7500 0.7500 0.2500
16 Rh 0.7500 0.7500 0.7500
+++

**Reply**
4